Assignment.
Now print everything below without additions.

Contents.
********
{
  "formula": "C49H38MoN4O5PS2",
  "method": "ωB97M-V with the def2-TZVPD basis set",
  "symbols": ["Mo", "C", "C", "N", "N", "C", "S", "S", "C", "C", "C", "C", "C", "C", "C", "C", "C", "C", "C", "C", "C", "O", "H", "H", "H", "H", "H", "H", "H", "H", "H", "H", "H", "H", "H", "H", "O", "C", "C", "C", "C", "C", "C", "C", "O", "N", "N", "C", "C", "C", "C", "C", "C", "C", "O", "H", "H", "H", "H", "H", "H", "H", "H", "H", "H", "O", "C", "C", "C", "C", "C", "C", "C", "P", "C", "C", "C", "C", "C", "C", "C", "C", "C", "C", "C", "C", "H", "H", "H", "H", "H", "H", "H", "H", "H", "H", "H", "H", "H", "H"],
  "xyz": [[-0.5090, -0.2389, 0.4266], [1.4998, -2.7683, -0.6415], [0.8154, -2.0005, 0.4700], [1.2978, -0.7574, 0.8490], [2.0967, -0.5235, 1.9576], [1.4394, 0.0284, 2.9168], [-0.2703, 0.2775, 2.9067], [2.4809, 0.5322, 4.2639], [1.3793, 0.4051, 5.7026], [1.4068, -0.9395, 6.3688], [0.5063, -1.9375, 6.0138], [0.5595, -3.1786, 6.6292], [1.5083, -3.4398, 7.6048], [2.4136, -2.4503, 7.9619], [2.3602, -1.2114, 7.3459], [0.2285, -2.8684, 1.5522], [0.9314, -3.8153, 2.2776], [0.2937, -4.5846, 3.2452], [-1.0667, -4.4038, 3.4656], [-1.7887, -3.4578, 2.7581], [-1.1427, -2.6654, 1.8018], [-1.7736, -1.7418, 1.1050], [2.3577, -2.2237, -1.0228], [0.8401, -3.0191, -1.4748], [1.8689, -3.7188, -0.2466], [0.3757, 0.6773, 5.3772], [1.7328, 1.1715, 6.3951], [-0.2192, -1.7487, 5.2338], [-0.1400, -3.9471, 6.3296], [1.5480, -4.4112, 8.0804], [3.1623, -2.6448, 8.7192], [3.0713, -0.4416, 7.6217], [1.9923, -3.9465, 2.0949], [0.8514, -5.3073, 3.8252], [-1.5726, -5.0089, 4.2095], [-2.8465, -3.3072, 2.9318], [-4.8303, 0.8911, 1.0788], [-4.5527, 2.0912, 1.6194], [-5.6067, 2.7635, 2.2433], [-5.4017, 3.9938, 2.8323], [-4.1398, 4.5821, 2.8207], [-3.0969, 3.9239, 2.2024], [-3.2800, 2.6850, 1.5863], [-2.1382, 2.0094, 0.9352], [-2.3299, 0.8161, 0.4562], [-0.9925, 2.6138, 0.9043], [0.0024, 1.8153, 0.3038], [1.0951, 2.4931, 0.2451], [2.3011, 2.3218, -0.5535], [3.3494, 3.1627, -0.1310], [4.5042, 3.3494, -0.8524], [4.6346, 2.7259, -2.0849], [3.6326, 1.8869, -2.5305], [2.4984, 1.6470, -1.7613], [1.5079, 0.7956, -2.2833], [-3.9796, 0.5038, 0.7708], [-6.5756, 2.2844, 2.2556], [-6.2299, 4.4976, 3.3149], [-3.9752, 5.5404, 3.2952], [-2.1042, 4.3501, 2.1806], [1.0772, 3.4254, 0.8053], [3.2151, 3.6879, 0.8056], [5.2817, 3.9967, -0.4719], [5.5083, 2.8884, -2.7009], [3.7315, 1.4016, -3.4867], [3.1180, -0.7090, -2.7984], [1.9612, -0.3671, -2.8262], [0.9478, -1.1726, -3.5897], [1.5260, -1.8454, -4.6701], [0.7678, -2.6282, -5.5184], [-0.5927, -2.7559, -5.2853], [-1.1667, -2.1166, -4.2002], [-0.4213, -1.3218, -3.3291], [-1.3166, -0.5605, -1.9113], [-2.7420, -1.6795, -1.6925], [-4.0307, -1.2030, -1.4873], [-5.0376, -2.0614, -1.0655], [-4.7651, -3.4003, -0.8457], [-3.4735, -3.8796, -1.0262], [-2.4686, -3.0222, -1.4298], [-2.0226, 0.8878, -2.7896], [-2.9658, 0.7418, -3.8067], [-3.4499, 1.8478, -4.4844], [-2.9918, 3.1176, -4.1599], [-2.0461, 3.2712, -3.1601], [-1.5633, 2.1617, -2.4800], [2.5902, -1.7426, -4.8206], [1.2374, -3.1386, -6.3483], [-1.2090, -3.3622, -5.9357], [-2.2203, -2.2615, -4.0075], [-4.2529, -0.1519, -1.6177], [-6.0302, -1.6683, -0.8899], [-5.5482, -4.0657, -0.5064], [-3.2399, -4.9143, -0.8125], [-1.4526, -3.3926, -1.5039], [-3.3363, -0.2407, -4.0670], [-4.1882, 1.7179, -5.2653], [-3.3752, 3.9829, -4.6847], [-1.6829, 4.2556, -2.8967], [-0.8260, 2.2878, -1.7014]],
********

Solution.
{
  "formula": "C49H38MoN4O5PS2",
  "method": "ωB97M-V with the def2-TZVPD basis set",
  "symbols": ["Mo", "C", "C", "N", "N", "C", "S", "S", "C", "C", "C", "C", "C", "C", "C", "C", "C", "C", "C", "C", "C", "O", "H", "H", "H", "H", "H", "H", "H", "H", "H", "H", "H", "H", "H", "H", "O", "C", "C", "C", "C", "C", "C", "C", "O", "N", "N", "C", "C", "C", "C", "C", "C", "C", "O", "H", "H", "H", "H", "H", "H", "H", "H", "H", "H", "O", "C", "C", "C", "C", "C", "C", "C", "P", "C", "C", "C", "C", "C", "C", "C", "C", "C", "C", "C", "C", "H", "H", "H", "H", "H", "H", "H", "H", "H", "H", "H", "H", "H", "H"],
  "xyz": [[-0.5090, -0.2389, 0.4266], [1.4998, -2.7683, -0.6415], [0.8154, -2.0005, 0.4700], [1.2978, -0.7574, 0.8490], [2.0967, -0.5235, 1.9576], [1.4394, 0.0284, 2.9168], [-0.2703, 0.2775, 2.9067], [2.4809, 0.5322, 4.2639], [1.3793, 0.4051, 5.7026], [1.4068, -0.9395, 6.3688], [0.5063, -1.9375, 6.0138], [0.5595, -3.1786, 6.6292], [1.5083, -3.4398, 7.6048], [2.4136, -2.4503, 7.9619], [2.3602, -1.2114, 7.3459], [0.2285, -2.8684, 1.5522], [0.9314, -3.8153, 2.2776], [0.2937, -4.5846, 3.2452], [-1.0667, -4.4038, 3.4656], [-1.7887, -3.4578, 2.7581], [-1.1427, -2.6654, 1.8018], [-1.7736, -1.7418, 1.1050], [2.3577, -2.2237, -1.0228], [0.8401, -3.0191, -1.4748], [1.8689, -3.7188, -0.2466], [0.3757, 0.6773, 5.3772], [1.7328, 1.1715, 6.3951], [-0.2192, -1.7487, 5.2338], [-0.1400, -3.9471, 6.3296], [1.5480, -4.4112, 8.0804], [3.1623, -2.6448, 8.7192], [3.0713, -0.4416, 7.6217], [1.9923, -3.9465, 2.0949], [0.8514, -5.3073, 3.8252], [-1.5726, -5.0089, 4.2095], [-2.8465, -3.3072, 2.9318], [-4.8303, 0.8911, 1.0788], [-4.5527, 2.0912, 1.6194], [-5.6067, 2.7635, 2.2433], [-5.4017, 3.9938, 2.8323], [-4.1398, 4.5821, 2.8207], [-3.0969, 3.9239, 2.2024], [-3.2800, 2.6850, 1.5863], [-2.1382, 2.0094, 0.9352], [-2.3299, 0.8161, 0.4562], [-0.9925, 2.6138, 0.9043], [0.0024, 1.8153, 0.3038], [1.0951, 2.4931, 0.2451], [2.3011, 2.3218, -0.5535], [3.3494, 3.1627, -0.1310], [4.5042, 3.3494, -0.8524], [4.6346, 2.7259, -2.0849], [3.6326, 1.8869, -2.5305], [2.4984, 1.6470, -1.7613], [1.5079, 0.7956, -2.2833], [-3.9796, 0.5038, 0.7708], [-6.5756, 2.2844, 2.2556], [-6.2299, 4.4976, 3.3149], [-3.9752, 5.5404, 3.2952], [-2.1042, 4.3501, 2.1806], [1.0772, 3.4254, 0.8053], [3.2151, 3.6879, 0.8056], [5.2817, 3.9967, -0.4719], [5.5083, 2.8884, -2.7009], [3.7315, 1.4016, -3.4867], [3.1180, -0.7090, -2.7984], [1.9612, -0.3671, -2.8262], [0.9478, -1.1726, -3.5897], [1.5260, -1.8454, -4.6701], [0.7678, -2.6282, -5.5184], [-0.5927, -2.7559, -5.2853], [-1.1667, -2.1166, -4.2002], [-0.4213, -1.3218, -3.3291], [-1.3166, -0.5605, -1.9113], [-2.7420, -1.6795, -1.6925], [-4.0307, -1.2030, -1.4873], [-5.0376, -2.0614, -1.0655], [-4.7651, -3.4003, -0.8457], [-3.4735, -3.8796, -1.0262], [-2.4686, -3.0222, -1.4298], [-2.0226, 0.8878, -2.7896], [-2.9658, 0.7418, -3.8067], [-3.4499, 1.8478, -4.4844], [-2.9918, 3.1176, -4.1599], [-2.0461, 3.2712, -3.1601], [-1.5633, 2.1617, -2.4800], [2.5902, -1.7426, -4.8206], [1.2374, -3.1386, -6.3483], [-1.2090, -3.3622, -5.9357], [-2.2203, -2.2615, -4.0075], [-4.2529, -0.1519, -1.6177], [-6.0302, -1.6683, -0.8899], [-5.5482, -4.0657, -0.5064], [-3.2399, -4.9143, -0.8125], [-1.4526, -3.3926, -1.5039], [-3.3363, -0.2407, -4.0670], [-4.1882, 1.7179, -5.2653], [-3.3752, 3.9829, -4.6847], [-1.6829, 4.2556, -2.8967], [-0.8260, 2.2878, -1.7014]],